Tuesday, October 1, 2019

The page is interrupted by materials data >
~~~
(1)
BaMo6O10 | Materials Project | PBE with a Hubbard U | relaxed; E = -480.14 eV for the cell shown; ΔE to the lowest computed polymorph = 0.00 eV/f.u.; energy of formation from the pure elements = -1743.8 meV/atom; V = 13.59 A^3/atom
1.0
-8.8000 2.3802 0.6764
-1.6081 -7.1461 6.2278
2.2963 6.4226 7.9991
Ba Mo O
4 24 40
Cartesian
-0.1886 6.2756 7.4779
-7.9748 -4.6274 7.4592
-6.0763 1.9697 8.5059
-1.9738 -0.3189 6.4057
-4.9537 -0.2248 11.6230
-0.3564 1.1983 3.0582
-2.4215 3.3703 8.9115
-8.5055 -0.9130 6.2667
-3.1549 1.9053 3.2920
-7.7776 0.4893 11.7485
-5.7069 -1.6953 5.9909
0.4004 2.5361 8.6516
-3.0918 -4.2490 7.3237
-5.0365 5.9268 7.6081
-6.5077 0.9739 5.1049
-1.6135 0.6850 9.8089
-4.2210 3.9479 5.6156
-1.2101 -3.1201 9.1069
-2.4313 2.5757 11.8531
-8.4282 -0.1506 3.2328
-3.9012 -2.2832 9.2989
-6.9605 4.6877 5.8184
-5.6768 -0.9003 3.0318
0.2697 1.8337 11.6237
-1.1299 3.2154 5.2411
-6.9842 -1.5455 9.6726
-5.3792 3.5254 12.0611
-2.7402 -1.8613 2.8636
-3.1891 6.8373 7.3388
-2.1462 -6.0242 7.2989
-2.8514 1.3589 8.5032
-8.0383 0.9702 6.5087
-4.8830 -5.1730 7.5622
-5.9384 7.6194 7.5933
-5.2446 0.2898 6.3885
-0.0921 0.6698 8.3682
-2.1288 -1.2640 9.1357
-5.9871 2.8418 5.8552
-4.7591 6.2724 9.6415
-3.2756 -4.5369 5.1955
-4.1736 3.8148 3.4503
-0.8440 -2.9410 11.2510
-4.2388 -1.7804 4.4169
-6.9636 4.3002 10.8134
-5.0836 1.0564 3.5407
-3.9698 -2.1200 11.4528
-3.8904 3.4451 10.4969
-1.1765 -2.6949 4.1111
-0.8788 3.4204 7.3693
-7.2113 -1.7471 7.5621
-5.9133 1.5469 11.4626
-2.1269 0.1504 3.4541
-2.9535 0.5887 11.3920
-7.8887 1.7721 3.7621
-4.0067 4.0969 7.6767
-1.3576 -3.1930 7.0084
1.0475 4.4274 9.3485
-6.2519 -3.6452 5.3601
-8.0847 0.2036 9.6671
-2.9932 2.2398 5.3518
-9.1713 -2.7651 5.5587
-1.8432 5.3164 9.5341
-0.1019 1.3884 5.1446
-5.1373 -0.5369 9.5444
-6.7828 4.8133 7.9092
-4.1539 -2.3966 7.2698
-0.1062 -0.0755 11.1318
-7.2794 4.5582 3.6224

---

(2)
Ba3Mo18O28 | Materials Project | PBE with a Hubbard U | relaxed; E = -680.42 eV for the cell shown; energy of formation from the pure elements = -1582.9 meV/atom; V = 15.29 A^3/atom
1.0
9.7830 0.0000 0.0000
0.0000 10.6024 0.0000
0.0000 2.6175 14.4456
Ba Mo O
6 36 56
Cartesian
0.1823 4.9666 9.2165
4.7287 10.2604 9.7003
4.8774 7.9767 0.7666
5.0738 8.2532 5.2291
9.6202 2.9595 4.7453
9.7689 5.2431 13.6789
1.2835 11.5772 14.4118
1.2269 11.6017 7.9588
1.2945 11.5476 11.1708
1.3196 8.9747 3.1710
1.2730 8.7093 9.6035
1.3970 8.8355 6.3939
1.3977 8.7544 12.8184
1.4048 6.0751 1.6213
1.4051 6.1586 4.8420
3.4458 11.4589 4.8652
3.4867 0.8393 1.6328
3.5351 3.4125 12.8048
3.4875 3.5471 6.3816
3.6085 3.4188 9.5926
3.5726 3.6749 3.2099
3.5777 6.2492 11.1937
3.6615 6.3501 7.9594
3.6147 6.2479 14.3808
6.1750 1.6426 0.0338
6.1184 1.6182 6.4868
6.1860 1.6723 3.2748
6.2111 4.2452 11.2746
6.1645 4.5105 4.8421
6.2885 4.3843 8.0517
6.2892 4.4655 1.6272
6.2963 7.1448 12.8243
6.2966 7.0612 9.6036
8.3373 1.7610 9.5804
8.3782 12.3806 12.8128
8.4267 9.8074 1.6408
8.3790 9.6728 8.0640
8.5000 9.8010 4.8530
8.4641 9.5449 11.2357
~~~
So much for the materials data >

TIS LIFERS - a forgotten group

7/6/2019 11:37:43 AM
RE:TIS LIFERS? and group email
So I wanted to first ask how have you never known that there is an entire race of lifers in prison that have been forgotten about and rotting away?? Is it because you and everyone else have been so focused on these old law lifers all these years that you have become tunnel-visioned and only seeing a very small part of the past??? The old law guys issues only make up a very small part of what is wrong with how Wisconsin deals with sentencing people. Well, we have existed for the last 20 years now and our situation is far worse than theirs, and if you only knew the degree of our suffering and our struggle to be free, then you would draw up better proposals that include more than just their issues.

Which brings me to my next issue. I have read these proposals you want to get the liar (Gov. Evers) to sign off on. You should know that none of it will benefit any of us TIS lifers one bit. So what that you want to bring back parole...what good does it do TIS lifers?? We don't qualify for any time cuts, not 75% or 85%, parole, sentence modifications, or terminal illness sentence modifications. In fact, nothing the law allows to let people go applies to any person serving a life sentence under TIS.

Life means life under TIS. Conviction of a Class A felony is a MANDATORY life sentence. There is only one crime that is a class A felony...1st Deg. Intent. Homicide. There are three options a judge can sentence you to serve life under TIS. First, you can be sentenced to become eligible for Extended Supervision after serving the mandatory minimum of 20 years. Second, you could be sentenced to become eligible for ES after serving a date beyond 20 years...meaning the judge can randomly pick a date far past 20 years. The last and popular option...not eligible...meaning the only way you see freedom is to leave in a body bag. I'm serving the third sentence.

Now when it comes to those doing the mandatory minimum. Once you serve your time, there is no such thing as MR. it only means that you are eligible for release. DO NOT CONFUSE THIS WITH PAROLE because I wish I had a parole board that would deny me release. You have to petition the court that sentenced you. There is no such form to fill out because the State never thought that far ahead, and if you are denied, that's your life gone. It has been told to me by a lawyer that the judge will set another date to petition again. He says that they will most likely go with the minimum...that's another 20 years to serve before you can petition the court to go home!! The first eligible lifers doing the mandatory minimum will be petitioning the court for ES October. They have nothing set up for this because the law makers simply made a law and put the problem of how to deal with the lifers that do have a chance to get out on the shelf. Well, now 20 years later...they have a really big problem and don't know what to do. Everyone has forgotten about us and think these old law guys are more important because they have been in prison longer. Well no disrespect to them but I've been serving a TIS life sentence for the last 17 years making me among the first generation sentenced under this law, what help do I deserve?? And the law I'm under is far far worse.

This is why I do not want the movement I'm starting mixed with anything else as it will be put on another shelf and not get as much attention as it should. Its all or nothing with me, either we fight tooth and nail to destroy TIS and get BOTH old law and TIS lifers home, or leave me to go at it alone. We deserve the same attention as them and I want to work with you to tell not just my story, but the stories of so many others. I need your word that if I open up to you...that you will put this into the open and share it with others that will help me and connect me with others. Right now I'm trying to connect with Taycheedah lifers so I can show them the way out as well. This is why I wanted you to share that entire email I sent so they could respond. I am a litigator and I can help you from in here if you let me. But none of this will work if you are not the bridge that connects an inmate with the help he needs. If you want me to, I will use these emails to tell my story to you, or if you have someone to come up here to record it that will be better and prove that you really are wanting to be on my side. For now I will wait to see what you will agree to. But please know I am more resourceful to you than you think and  can help. Please respond ASAP.

From the think tank - Jermaine


I just got a letter from the Governors office today regarding getting an application for a pardon. In the response was the following info:

"Currently, applicants must have completed their entire sentence at least five (5) years prior to applying. Because you are still serving your sentence, you are not eligible."

Once again, guys like me serving life are being screwed over by a LIAR who promises prison reform. Old law and TIS lifers alike!! How in the world can I ever be eligible, if I was sentenced to life without eligibility for release to Extended Supervision and will never get out of prison?? I'm not even looking for a full pardon, I'm only looking for a commutation of my sentence so that I can have the chance to be eligible to apply for Extended Supervision after serving 20 to 25 years.

Problem is...I have noone that cares out there, noone who will keep my name or case alive in the news or on social media, so my case will never be heard by anyone.

Just wanted you to know that I was lied to....

Here's what I propose...I am about to prepare a petition to the Governor on behalf of TIS lifers ONLY!! Its about time we get the spotlight to a change and get some love from outside help. No disrespect to old law guys or short timers or guys doing numbers...but this fight is only for us doing LETTERS UNDER TIS LAW. Please contact me by snail mail: Jermaine Smith #394890 @Waupun Corr. Inst. or send an email request to Lady (first name) L (last name) at LadyLWORT@gmail.com and when she accepts your request, ask her to forward your email to me. Let me know what you think and what ideas we can put together to convince him to pardon us too...not just the inmates that are popular. Be serious about what you want me to know and what you want the Governor to know because the state wants us to actually DIE IN PRISON. Lady L will email you the final draft that will be sent to the Governor.